Impostor Feelings and Creativity

You’re not alone if you’ve ever felt like an impostor in your creative pursuits. So many people feel like they don’t measure up to the “real” artists or are afraid to put their work out for fear of being seen as outsiders.
When faced with self-doubt and impostor feelings that hinder our creative pursuits, how can we recognise and respond to them? How do these feelings sound to us? What causes them, and how can we continue to be creative in spite of them?
Materials data, kept here for reference
/*
1.
Computed, not measured: a relaxed Sc5Ni2Te2 crystal at the PBE level of DFT.

abc: 17.895 3.952 10.642
angles: 90.00 90.00 90.00
Element x y z (fractional)
Sc 0.019 0.250 0.173
Sc 0.074 0.750 0.560
Sc 0.133 0.250 0.804
Sc 0.152 0.750 0.282
Sc 0.227 0.250 0.479
Sc 0.273 0.750 0.979
Sc 0.348 0.250 0.782
Sc 0.367 0.750 0.304
Sc 0.426 0.250 0.060
Sc 0.481 0.750 0.673
Sc 0.519 0.250 0.327
Sc 0.574 0.750 0.940
Sc 0.633 0.250 0.696
Sc 0.652 0.750 0.218
Sc 0.727 0.250 0.021
Sc 0.773 0.750 0.521
Sc 0.848 0.250 0.718
Sc 0.867 0.750 0.196
Sc 0.926 0.250 0.440
Sc 0.981 0.750 0.827
Ni 0.006 0.250 0.674
Ni 0.084 0.250 0.396
Ni 0.416 0.750 0.896
Ni 0.494 0.750 0.174
Ni 0.506 0.250 0.826
Ni 0.584 0.250 0.104
Ni 0.916 0.750 0.604
Ni 0.994 0.750 0.326
Te 0.107 0.750 0.010
Te 0.233 0.750 0.690
Te 0.267 0.250 0.190
Te 0.393 0.250 0.510
Te 0.607 0.750 0.490
Te 0.733 0.750 0.810
Te 0.767 0.250 0.310
Te 0.893 0.250 0.990

Size of the total moment ... 0.35 Bohr magnetons per cell
Calculated volume ... 20.909 Å³/atom
DFT total energy ... -6.23 eV/atom

2.
Computed, not measured: a relaxed Zr3Sc3NiTe2 crystal at the PBE level of DFT.

abc: 7.788 7.788 3.632
angles: 90.00 90.00 120.00
Element x y z (fractional)
Zr 0.000 0.595 0.000
Zr 0.405 0.405 0.000
Zr 0.595 0.000 0.000
Sc 0.000 0.239 0.500
Sc 0.239 0.000 0.500
Sc 0.761 0.761 0.500
Ni 0.000 0.000 0.000
Te 0.333 0.667 0.500
Te 0.667 0.333 0.500

Size of the total moment ... 0.03 Bohr magnetons per cell
Calculated volume ... 21.194 Å³/atom
DFT total energy ... -6.89 eV/atom
Energy above the most stable polymorph in this dataset ... 30 meV/atom

3.
Computed, not measured: a relaxed Zr3Sc3NiTe2 crystal at the PBE level of DFT.

abc: 7.798 7.798 3.699
angles: 90.00 90.00 120.00
Element x y z (fractional)
Zr 0.000 0.239 0.000
Zr 0.239 0.000 0.000
Zr 0.761 0.761 0.000
Sc 0.000 0.603 0.500
Sc 0.397 0.397 0.500
Sc 0.603 0.000 0.500
Ni 0.000 0.000 0.500
Te 0.333 0.667 0.000
Te 0.667 0.333 0.000

Size of the total moment ... 0.02 Bohr magnetons per cell
Calculated volume ... 21.639 Å³/atom
DFT total energy ... -6.92 eV/atom
Energy above the most stable polymorph in this dataset ... 0 meV/atom

4.
Computed, not measured: a relaxed ThScNi crystal at the PBE level of DFT.

abc: 6.586 6.586 6.586
angles: 90.00 90.00 90.00
Element x y z (fractional)
Th 0.000 0.000 0.000
Th 0.000 0.500 0.500
Th 0.500 0.000 0.500
Th 0.500 0.500 0.000
Sc 0.000 0.000 0.500
Sc 0.000 0.500 0.000
Sc 0.500 0.000 0.000
Sc 0.500 0.500 0.500
Ni 0.250 0.250 0.250
Ni 0.250 0.750 0.750
Ni 0.750 0.250 0.750
Ni 0.750 0.750 0.250

Size of the total moment ... 0.02 Bohr magnetons per cell
E_form ... -0.092 eV per atom
Calculated volume ... 23.808 Å³/atom
DFT total energy ... -6.53 eV/atom
Energy above the most stable polymorph in this dataset ... 0 meV/atom

5.
Computed, not measured: a relaxed Th2ScNi2 crystal at the PBE level of DFT.

abc: 7.553 7.553 3.729
angles: 90.00 90.00 90.00
Element x y z (fractional)
Th 0.175 0.325 0.000
Th 0.325 0.825 0.000
*/
So much for the materials data
Every creative act is a step into uncertainty—no guarantees about how it will be received, interpreted, and understood.
I experience impostor feelings almost whenever I put anything creative into the world. But I’m learning to converse with them, listen to what they tell me, and respond accordingly.

The Difference Between Content and Form
One helpful distinction I’ve seen is the difference between the message and the medium we use to express it.
Medium and form are what we learn from the masters and mentors. They are where we hone our craft and deepen our competency. Learning how to write, paint, perform, play, weave, bake etc., and improving our relationship with the tradition(s) we are partaking in. There are always ways to grow, develop, and enhance our experience.
I am excited to learn more about and deepen my relationship with this new-to-me genre of music. Impostor (or inferiority feelings) are positive for me in this sense. They encourage me to grow in desirable and meaningful ways.
Message and content, on the other hand, are more like the essence of the song we sing. The spirit within and vision we bring to the table. It’s the unique cocktail of a life spent experiencing, observing, and feeling. It’s the creative voice only we can express because it’s contingent on who we are in our ordinary weirdness.
I remind myself that the most remarkable artists are one small part of a tradition they could never fully embody. When it comes to the pure identity of being (a writer, artist, musician etc.), no one can fully belong.
We are explorers, custodians, and borrowers. We hold the craft with reverence and respect and recognise that it’s bigger than all of us.
Impostor Feelings and Creative Form
“The counterfeit innovator is wildly self-confident. The real one is scared to death.”
Steven Pressfield
The drive for confidence (fitting in) at the medium and form level can alienate us from our creative spirit. However, we can be pretty confident that we are not an impostor if we’re worried about being one.
# Between two parts of the article: calculated crystals
(1)
The following is a PBE-GGA calculation of CaInSi3 after structural relaxation, from the Alexandria database.

Computed properties:
total moment = 0.00 μB per formula unit
energy relative to the lowest polymorph listed for this composition = 0.0000 eV/atom
ΔE_f (raw) = 0.793 eV per atom

a b c (Å): 5.1551 5.1551 5.1551
angles (deg): 90.00 90.00 90.00
With the nearest neighbours (Å) after each atom.
Space group Pm-3m (No. 221)
Symmetry-distinct sites (fractional):
1 Ca 0.0000 0.0000 0.0000 x1  12 Si 3.65
2 In 0.5000 0.5000 0.5000 x1  6 Si 2.58
3 Si 0.0000 0.5000 0.5000 x3  2 In 2.58

(2)
The following is a PBE-GGA calculation of Ca2InSi2 after structural relaxation, from the Alexandria database.

Computed properties:
total moment = 0.00 μB per formula unit
ΔE_f (raw) = -0.433 eV per atom

a b c (Å): 3.8138 14.5508 4.3639
angles (deg): 90.00 90.00 90.00
With the nearest neighbours (Å) after each atom.
Space group Cmmm (No. 65)
Symmetry-distinct sites (fractional):
1 Ca 0.0000 0.1337 0.0000 x4  6 Si 3.06-3.24
2 In 0.0000 0.5000 0.5000 x2  2 Si 2.93
3 Si 0.0000 0.2985 0.5000 x4  2 Si 2.37

~~~~~

A plane-wave DFT calculation with PBE was carried out for a relaxed structure of YAlPd.

## Properties
Total magnetic moment = 0.00 μB per cell
Crystal system = monoclinic
Energy of formation from the pure elements = -867 meV per atom
Mass density = 6.10 Mg/m³

Geometry as CIF:
```
data_YAlPd
_chemical_formula_sum 'Y6 Al6 Pd6'
_symmetry_space_group_name_H-M 'P 1 21/m 1'
_symmetry_Int_Tables_number 11
_cell_length_a 7.0723
_cell_length_b 4.2947
_cell_length_c 11.9521
_cell_angle_alpha 90.00
_cell_angle_beta 91.39
_cell_angle_gamma 90.00
loop_
_symmetry_equiv_pos_as_xyz
'x,y,z'
'-x,-y,-z'
'-x,y+1/2,-z'
'x,-y+1/2,z'
loop_
_atom_site_label
_atom_site_type_symbol
_atom_site_fract_x
_atom_site_fract_y
_atom_site_fract_z
Y1 Y 0.0266 0.2500 0.3734
Y2 Y 0.1545 0.2500 0.0809
Y3 Y 0.4693 0.7500 0.7086
Al1 Al 0.1429 0.2500 0.7981
Al2 Al 0.3510 0.7500 0.4569
Al3 Al 0.4960 0.7500 0.0835
Pd1 Pd 0.2380 0.7500 0.2439
Pd2 Pd 0.2712 0.7500 0.9090
Pd3 Pd 0.2754 0.2500 0.5736
```

A plane-wave DFT calculation with PBE was carried out for a relaxed structure of Y2AlPd.

## Properties
Total magnetic moment = 0.00 μB per cell
Crystal system = trigonal
Energy of formation from the pure elements = -518 meV per atom
Mass density = 5.26 Mg/m³

Geometry as CIF:
```
data_Y2AlPd
_chemical_formula_sum 'Y6 Al3 Pd3'
_symmetry_space_group_name_H-M 'R 3 m'
_symmetry_Int_Tables_number 160
_symmetry_space_group_name_Hall 'R 3 -2"'
_cell_length_a 4.5111
_cell_length_b 4.5111
_cell_length_c 16.7313
_cell_angle_alpha 90.00
_cell_angle_beta 90.00
_cell_angle_gamma 120.00
loop_
_atom_site_label
_atom_site_type_symbol
_atom_site_fract_x
_atom_site_fract_y
_atom_site_fract_z
Y1 Y 0.0000 0.0000 0.0000
Y2 Y 0.0000 0.0000 0.1930
Al1 Al 0.0000 0.0000 0.4216
Pd1 Pd 0.0000 0.0000 0.7723
```

Q: The lowest mass density belongs to which entry?
A: Y2AlPd
The quest for belonging to the established order to feel worthy and accepted is a road that takes us away from the site of authentic creative expression. In other words, the real impostors believe they are entitled to be here and speak on behalf of an undefinable entity.
Creative Spirit is a Question Mark
What is creativity without vulnerability, uncertainty, and doubt?
Not much. Just more of the same. Replication. Mechanical productivity. Stuck pining for the past and dreaming of a future that will never emerge because a big padlock keeps the present behind bars. Stifled and unable to play.
## Inserted here: data records
No. 1
NiAgSe2O8: optimized geometry, GGA+U.

Output
- density (Mg/m³) = 4.62

abc: 4.9120 4.9120 23.3593
angles: 90.00 90.00 120.00
With the nearest neighbours (Å) after each atom.
Space group R-3 (No. 148, hexagonal axes)
One atom of each set of equivalent atoms:
Ni 0.0000 0.0000 0.0000  6 O 1.99
Ag 0.0000 0.0000 0.5000  12 O 2.88-3.20
Se 0.0000 0.0000 0.2596  4 O 1.66-1.69
O 0.0000 0.0000 0.1887  1 Se 1.66
O 0.0014 0.6506 0.6157  1 Se 1.69



No. 2
SiNiAg2O: optimized geometry, GGA+U.

Output
- density (Mg/m³) = 6.56
- D(E_F) (states/eV/f.u.) = 1.914

abc: 4.9052 4.9052 3.3533
angles: 90.00 90.00 90.00
With the nearest neighbours (Å) after each atom.
Space group P4/mmm (No. 123)
One atom of each set of equivalent atoms:
Si 0.0000 0.0000 0.0000  2 O 1.68
Ni 0.5000 0.5000 0.5000  8 Ag 2.97
Ag 0.0000 0.5000 0.0000  2 Si 2.45
O 0.0000 0.0000 0.5000  2 Si 1.68



No. 3
NiAg2SnO: optimized geometry, GGA+U.

Output
- density (Mg/m³) = 7.64
- D(E_F) (states/eV/f.u.) = 2.066

abc: 4.3035 4.3035 4.7990
angles: 90.00 90.00 90.00
With the nearest neighbours (Å) after each atom.
Space group P4/mmm (No. 123)
One atom of each set of equivalent atoms:
Ni 0.0000 0.0000 0.0000  4 Sn 3.04, 8 Ag 3.22
Ag 0.0000 0.5000 0.5000  2 O 2.15
Sn 0.5000 0.5000 0.0000  2 O 2.40
O 0.5000 0.5000 0.5000  4 Ag 2.15, 2 Sn 2.40



No. 4
NiAgSn2O: optimized geometry, GGA+U.

Output
- density (Mg/m³) = 6.51
- D(E_F) (states/eV/f.u.) = 3.956

abc: 4.7328 4.7328 4.7844
angles: 90.00 90.00 90.00
With the nearest neighbours (Å) after each atom.
Space group P4/mmm (No. 123)
One atom of each set of equivalent atoms:
Ni 0.0000 0.0000 0.0000  4 Sn 2.37, 2 Ag 2.39
Ag 0.0000 0.0000 0.5000  2 Ni 2.39
Sn 0.0000 0.5000 0.0000  2 Ni 2.37
O 0.5000 0.5000 0.5000  4 Ag 3.35, 8 Sn 3.36



No. 5
Tc2NiAgO8: optimized geometry, GGA+U.

Output
- density (Mg/m³) = 4.39
- D(E_F) (states/eV/f.u.) = 5.090

abc: 5.7767 5.7767 6.4155
angles: 90.00 90.00 120.00
With the nearest neighbours (Å) after each atom.
Space group P-3m1 (No. 164)
One atom of each set of equivalent atoms:
Tc 0.3333 0.6667 0.2261  4 O 1.73-1.78
Ni 0.0000 0.0000 0.5000  6 O 2.06
Ag 0.0000 0.0000 0.0000  6 O 2.55
O 0.1632 0.3264 0.3048  1 Tc 1.78
O 0.3333 0.6667 0.9559  1 Tc 1.73



No. 6
TcNiAgO4: optimized geometry, GGA+U.

Output
- density (Mg/m³) = 5.12

abc: 5.6695 6.1928 6.6778
angles: 90.00 114.57 90.00
With the nearest neighbours (Å) after each atom.
Space group P2_1/m (No. 11)
One atom of each set of equivalent atoms:
Tc 0.1865 0.2500 0.3172  4 O 1.78-1.92
Ni 0.2288 0.7500 0.4520  4 O 1.98-2.01
Ag 0.4467 0.2500 0.9206  2 O 2.12-2.13
O 0.0231 0.5032 0.2666  1 Tc 1.78
O 0.4551 0.2500 0.6048  1 Tc 1.89, 1 Ni 1.98
O 0.4847 0.2500 0.2499  1 Tc 1.92, 1 Ni 1.98, 1 Ag 2.12



No. 7
Ni2AgTeO6: optimized geometry, GGA+U.

Output
- density (Mg/m³) = 6.36
- D(E_F) (states/eV/f.u.) = 6.207

abc: 5.2977 5.2977 14.4557
angles: 90.00 90.00 120.00
With the nearest neighbours (Å) after each atom.
Space group R3 (No. 146, hexagonal axes)
This is at the heart of some questions about generative artificial intelligence. It’s an imitator of form. It looks the part. But it’s missing a crucial aspect of the creative spirit. Like Sartre’s waiter, it fits in TOO MUCH. Whereas creativity emerges through imperfection and contradiction.
Defence Against The Human Arts
In Free Play, Stephen Nachmanovitch says, “It is easy to look around us and see innumerable factors that undermine the creative life. But I think every culture contains its own defences against creativity. It is sometimes tempting to idealise or romanticise some other time and place where the creative life seems to have been more integrated into the fabric of life as a whole.”
The creative spirit is a question of those defences. What stops us from being human? What does it mean to be human?
“Self-doubt can be an ally. This is because it serves as an indicator of aspiration. It reflects love, love of something we dream of doing, and desire, desire to do it. If you find yourself asking yourself (and your friends), “Am I really a writer? Am I really an artist?” chances are you are.”
Steven Pressfield
There is No “There”, There
To doubt is to be human. To desire, love, and dream is to embody life in all its messy chaos.
Creative spirit carries us forward as a beautiful contradiction. Where it is through the fact we don’t belong (we are all impostors) that creativity can find its place.
Creativity is courage despite doubt. Faith despite fear. It carves beauty from pain and expresses truth when all seems lost.
We might be waiting to feel safe before we create. It’s understandable. It’s human. We are wired to seek safety and belonging. But the other thing that makes us human is our creative spirit. While it is often fuelled by inspiration from the world around us, our creative flame flickers within, and only we can choose whether or not to let the light out to play.